[Request]
Could you type out the whole of the block further down without additions?

[Listing]
********
Record 1
Compound: Pm4Sm5In
Source: Alexandria
Functional: PBE
Structure: optimized geometry

Results
D(E_F): 1.7166 states/eV/atom
energy of formation from the pure elements: 3 meV per atom
final energy: -4.53 eV/atom
total moment: 0.000 μB per cell

a b c (Å): 4.234 4.234 18.247
angles (deg): 90.00 90.00 90.00
Fractional positions:
1 Pm 0.000 0.000 0.196
2 Pm 0.000 0.000 0.399
3 Pm 0.000 0.000 0.601
4 Pm 0.000 0.000 0.804
5 Sm 0.500 0.500 0.088
6 Sm 0.500 0.500 0.294
7 Sm 0.500 0.500 0.500
8 Sm 0.500 0.500 0.706
9 Sm 0.500 0.500 0.912
10 In 0.000 0.000 0.000

Record 2
Compound: Pm2SmIn
Source: Alexandria
Functional: PBE
Structure: optimized geometry

Results
D(E_F): 1.6655 states/eV/atom
energy of formation from the pure elements: -273 meV per atom
final energy: -4.51 eV/atom
total moment: 0.532 μB per cell

a b c (Å): 4.959 4.947 4.947
angles (deg): 90.00 90.00 90.00
Site moments in Bohr magnetons follow the coordinates.
Fractional positions:
1 In 0.500 0.000 0.000  0.00
2 Sm 0.500 0.500 0.500  0.10
3 Pm 0.000 0.000 0.500  0.10
4 Pm 0.000 0.500 0.000  0.10

~~~~~

## one
Here is a relaxed AcScAg2 crystal from Alexandria via LeMat-Bulk. Energies are from PBE-GGA.

Output
As for the volume: 26.24 A^3/atom. The space group is Fm-3m (225).

Lattice parameters (Å, degrees): 5.2947 5.2947 5.2947 60.00 60.00 60.00
Positions (direct):
Ac  0.0000  0.0000  0.0000
Sc  0.5000  0.5000  0.5000
Ag  0.2500  0.2500  0.2500
Ag  0.7500  0.7500  0.7500

---

## two
Here is a relaxed AcScAg2 crystal from Alexandria via LeMat-Bulk. Energies are from PBE-GGA.

Output
As for the volume: 27.11 A^3/atom. The space group is R-3m (166).

Lattice parameters (Å, degrees): 5.9056 5.9056 5.9056 49.21 49.21 49.21
Positions (direct):
Ac  0.0000  0.0000  0.0000
Sc  0.5000  0.5000  0.5000
Ag  0.2078  0.2078  0.2078
Ag  0.7922  0.7922  0.7922

---

Name the least stable of them. one.

---

## one
Here is a relaxed AcSc2Ag crystal from Alexandria via LeMat-Bulk. Energies are from PBE-GGA.

Output
As for the volume: 28.15 A^3/atom. The space group is R3m (160).

Lattice parameters (Å, degrees): 10.1169 10.1169 10.1169 20.64 20.64 20.64
Positions (direct):
Ac  0.0000  0.0000  0.0000
Sc  0.5655  0.5655  0.5655
Sc  0.7645  0.7645  0.7645
Ag  0.1646  0.1646  0.1646

---

## two
Here is a relaxed AcSc2Ag crystal from Alexandria via LeMat-Bulk. Energies are from PBE-GGA.

Output
As for the volume: 29.58 A^3/atom. The space group is R-3m (166).

Lattice parameters (Å, degrees): 6.4992 6.4992 6.4992 43.56 43.56 43.56
Positions (direct):
Ac  0.0000  0.0000  0.0000
Sc  0.2094  0.2094  0.2094
Sc  0.7906  0.7906  0.7906
Ag  0.5000  0.5000  0.5000

---

Name the least stable of them. two.

---

## one
Here is a relaxed AcSc2Ag crystal from Alexandria via LeMat-Bulk. Energies are from PBE-GGA.

Output
As for the volume: 26.16 A^3/atom. The space group is P4/mmm (123).

Lattice parameters (Å, degrees): 5.3087 5.3087 3.7131 90.00 90.00 90.00
Positions (direct):
Ac  0.0000  0.0000  0.0000
Sc  0.0000  0.5000  0.5000
Sc  0.5000  0.0000  0.5000
Ag  0.5000  0.5000  0.0000

---

## two
Here is a relaxed AcSc2Ag crystal from Alexandria via LeMat-Bulk. Energies are from PBE-GGA.

Output
As for the volume: 26.57 A^3/atom. The space group is P4/mmm (123).

Lattice parameters (Å, degrees): 3.5904 3.5904 8.2445 90.00 90.00 90.00
Positions (direct):
Ac  0.0000  0.0000  0.0000
Sc  0.5000  0.5000  0.3064
Sc  0.5000  0.5000  0.6936
Ag  0.0000  0.0000  0.5000

---

Name the least stable of them. one.

---

## one
Here is a relaxed Ac2AgSe crystal from Alexandria via LeMat-Bulk. Energies are from PBE-GGA.

Output
As for the volume: 29.93 A^3/atom. The space group is P4/mmm (123).

Lattice parameters (Å, degrees): 3.8864 3.8864 7.9269 90.00 90.00 90.00
Positions (direct):
Ac  0.0000  0.0000  0.2446
Ac  0.0000  0.0000  0.7554
Ag  0.5000  0.5000  0.5000
Se  0.5000  0.5000  0.0000

---

## two
Here is a relaxed Ac2AgSe crystal from Alexandria via LeMat-Bulk. Energies are from PBE-GGA.

Output
********

[Here it is]
Record 1
Compound: Pm4Sm5In
Source: Alexandria
Functional: PBE
Structure: optimized geometry

Results
D(E_F): 1.7166 states/eV/atom
energy of formation from the pure elements: 3 meV per atom
final energy: -4.53 eV/atom
total moment: 0.000 μB per cell

a b c (Å): 4.234 4.234 18.247
angles (deg): 90.00 90.00 90.00
Fractional positions:
1 Pm 0.000 0.000 0.196
2 Pm 0.000 0.000 0.399
3 Pm 0.000 0.000 0.601
4 Pm 0.000 0.000 0.804
5 Sm 0.500 0.500 0.088
6 Sm 0.500 0.500 0.294
7 Sm 0.500 0.500 0.500
8 Sm 0.500 0.500 0.706
9 Sm 0.500 0.500 0.912
10 In 0.000 0.000 0.000

Record 2
Compound: Pm2SmIn
Source: Alexandria
Functional: PBE
Structure: optimized geometry

Results
D(E_F): 1.6655 states/eV/atom
energy of formation from the pure elements: -273 meV per atom
final energy: -4.51 eV/atom
total moment: 0.532 μB per cell

a b c (Å): 4.959 4.947 4.947
angles (deg): 90.00 90.00 90.00
Site moments in Bohr magnetons follow the coordinates.
Fractional positions:
1 In 0.500 0.000 0.000  0.00
2 Sm 0.500 0.500 0.500  0.10
3 Pm 0.000 0.000 0.500  0.10
4 Pm 0.000 0.500 0.000  0.10

~~~~~

## one
Here is a relaxed AcScAg2 crystal from Alexandria via LeMat-Bulk. Energies are from PBE-GGA.

Output
As for the volume: 26.24 A^3/atom. The space group is Fm-3m (225).

Lattice parameters (Å, degrees): 5.2947 5.2947 5.2947 60.00 60.00 60.00
Positions (direct):
Ac  0.0000  0.0000  0.0000
Sc  0.5000  0.5000  0.5000
Ag  0.2500  0.2500  0.2500
Ag  0.7500  0.7500  0.7500

---

## two
Here is a relaxed AcScAg2 crystal from Alexandria via LeMat-Bulk. Energies are from PBE-GGA.

Output
As for the volume: 27.11 A^3/atom. The space group is R-3m (166).

Lattice parameters (Å, degrees): 5.9056 5.9056 5.9056 49.21 49.21 49.21
Positions (direct):
Ac  0.0000  0.0000  0.0000
Sc  0.5000  0.5000  0.5000
Ag  0.2078  0.2078  0.2078
Ag  0.7922  0.7922  0.7922

---

Name the least stable of them. one.

---

## one
Here is a relaxed AcSc2Ag crystal from Alexandria via LeMat-Bulk. Energies are from PBE-GGA.

Output
As for the volume: 28.15 A^3/atom. The space group is R3m (160).

Lattice parameters (Å, degrees): 10.1169 10.1169 10.1169 20.64 20.64 20.64
Positions (direct):
Ac  0.0000  0.0000  0.0000
Sc  0.5655  0.5655  0.5655
Sc  0.7645  0.7645  0.7645
Ag  0.1646  0.1646  0.1646

---

## two
Here is a relaxed AcSc2Ag crystal from Alexandria via LeMat-Bulk. Energies are from PBE-GGA.

Output
As for the volume: 29.58 A^3/atom. The space group is R-3m (166).

Lattice parameters (Å, degrees): 6.4992 6.4992 6.4992 43.56 43.56 43.56
Positions (direct):
Ac  0.0000  0.0000  0.0000
Sc  0.2094  0.2094  0.2094
Sc  0.7906  0.7906  0.7906
Ag  0.5000  0.5000  0.5000

---

Name the least stable of them. two.

---

## one
Here is a relaxed AcSc2Ag crystal from Alexandria via LeMat-Bulk. Energies are from PBE-GGA.

Output
As for the volume: 26.16 A^3/atom. The space group is P4/mmm (123).

Lattice parameters (Å, degrees): 5.3087 5.3087 3.7131 90.00 90.00 90.00
Positions (direct):
Ac  0.0000  0.0000  0.0000
Sc  0.0000  0.5000  0.5000
Sc  0.5000  0.0000  0.5000
Ag  0.5000  0.5000  0.0000

---

## two
Here is a relaxed AcSc2Ag crystal from Alexandria via LeMat-Bulk. Energies are from PBE-GGA.

Output
As for the volume: 26.57 A^3/atom. The space group is P4/mmm (123).

Lattice parameters (Å, degrees): 3.5904 3.5904 8.2445 90.00 90.00 90.00
Positions (direct):
Ac  0.0000  0.0000  0.0000
Sc  0.5000  0.5000  0.3064
Sc  0.5000  0.5000  0.6936
Ag  0.0000  0.0000  0.5000

---

Name the least stable of them. one.

---

## one
Here is a relaxed Ac2AgSe crystal from Alexandria via LeMat-Bulk. Energies are from PBE-GGA.

Output
As for the volume: 29.93 A^3/atom. The space group is P4/mmm (123).

Lattice parameters (Å, degrees): 3.8864 3.8864 7.9269 90.00 90.00 90.00
Positions (direct):
Ac  0.0000  0.0000  0.2446
Ac  0.0000  0.0000  0.7554
Ag  0.5000  0.5000  0.5000
Se  0.5000  0.5000  0.0000

---

## two
Here is a relaxed Ac2AgSe crystal from Alexandria via LeMat-Bulk. Energies are from PBE-GGA.

Output